In this video we discuss how the law of attraction can positive impact your morning and I give you my exact morning routine and morning ritual.
Most people block the law of attraction because they do not get their morning started right. Here’s my law of attraction morning routine.
There are certain tricks to using law of attraction to easily manifest what you want, but in order to do so you have to create a successful morning routine or ritual.
Most people struggle with law of attraction because they’ve never properly understood how to get the day started right.
And most people struggle with LOA because they do not understand how to use it. So I share my biggest takeaways so you can apply it to your life easily.
In this video you’ll learn how to use the law of attraction, understand it better, and apply it to your life.
The first step is to understand that you’re always using Law of Attraction. Most of us spend our whole lives doing it unconsciously.
We use unconscious negative affirmations as a technique that holds us back from what we want in life.
You have to become conscious of your affirmations and begin to use positive thinking techniques to feel what you want before you have it. It’s a constant affirmation meditation to visualize success and feel it in your nervous system.
This is how you use positive affirmations to reprogram your subconscious mind, how to visualize images, how to visualize what you want, and how to create what you want as a reality.
Number one, when you wake up in the morning and remember, it is an absolute miracle that you’re still alive. Literally, you went to sleep, you went totally unconscious. That had nothing to do with you at all. Your heartbeat, all of these amazing things happen when you wake up today. There are people that pass away in their sleep every single night, and here you are another day. You didn’t even have to think about it. Think that higher power, you can call it God. You can call it university. You can call it nature. You can call it anything that you want to just say, thank you. Thank you. Thank you.
Right when you wake up, this is so important because when you’re connected to God, when you’re connected to the universe, when you’re connected to intention, when you’re connected to spirit, when you’re connected to the creative power of the universe, that’s when everything unfold. That’s why Jesus could say, you’ll say mountains move and they’ll move, right? Like obviously that’s a metaphor, but that’s Jesus is speaking from. When you’re connected to that powerful place, amazing thing show up in your life. Now you take a step back and you say, what’s the best way to start your day? It’s to be connected to that universal intelligence because when you’re connected to it immediately to start your day, you’re in a position where things will start showing up. The money you want will show up. The connections you want to show up. The resources you want will show up faster than you ever thought.
So comment down below. Life is a miracle comment. Down below life is a miracle, comma that down below life is a miracle and make it your intention. So right when you open your eyes in the morning, you open your eyes and you’re like, Whoa, I’m alive today. You might have to force it for the first week until you get used to doing that because our, our, our customary way, we often wake up is, oh, the alarm was sleeping so I was in the middle of a dream. You don’t want to start your day complaining. You don’t want to send her to. Oh, my neck today. Oh, I did not want to do what I’m about to do in an hour. No, thank you God. Thank you universe. I am alive. Life is beautiful. That’s how you get the universal law of attraction on your side, so amazing thing.
[1]
VASP calculation (PBE-GGA) on a geometry-optimized BeReSi2 structure.

Unit cell a=4.593 b=4.593 c=4.593 alpha=139.47 beta=127.94 gamma=67.98
Positions (direct):
Re: 0.255 0.755 0.500
Si: 0.995 0.995 0.000
Si: 0.736 0.236 0.500
Be: 0.514 0.514 0.000

Computed properties:
As for the total magnetization: 0.0 μB/f.u. As for the space group: Imm2. For the total energy, the calculation gives -6.72 eV per atom. For the formation energy (no corrections), the calculation gives 0.2 eV per formula unit.

***

[2]
VASP calculation (PBE-GGA) on a geometry-optimized Dy3Y6Er2Th structure.

Unit cell a=6.160 b=6.160 c=11.792 alpha=95.00 beta=95.00 gamma=119.97
Positions (direct):
Dy: 0.167 0.833 0.500
Dy: 0.833 0.167 0.500
Dy: 0.500 0.500 0.500
Y: 0.916 0.586 0.751
Y: 0.753 0.753 0.249
Y: 0.084 0.414 0.249
Y: 0.586 0.916 0.751
Y: 0.247 0.247 0.751
Y: 0.414 0.084 0.249
Er: 0.333 0.667 0.000
Er: 0.667 0.333 0.000
Th: 0.000 0.000 0.000

Computed properties:
As for the total magnetization: 0.0 μB/f.u. As for the space group: C2/m. The formation energy from the elements is 25.5 meV/atom. For the total energy, the calculation gives -5.74 eV per atom.

----------

Here is a relaxed LaSm3Er8 crystal from Alexandria via LeMat-Bulk. Energies are from GGA-PBE.

formation energy: 647.8 meV/atom
E_tot: -0.14643 hartree per atom

Cell: 8.3397 8.3397 8.3397 Å, 117.20 117.20 94.93°
Fractional coordinates of all 12 atoms:
1 La 0.0000 0.0000 0.0000
2 Sm 0.2500 0.7500 0.5000
3 Sm 0.5000 0.5000 0.0000
4 Sm 0.7500 0.2500 0.5000
5 Er 0.1280 0.1280 0.7487
6 Er 0.2460 0.7394 0.0000
7 Er 0.2606 0.2606 0.5065
8 Er 0.3793 0.3793 0.2513
9 Er 0.6207 0.8720 0.0000
10 Er 0.7394 0.2460 0.0000
11 Er 0.7540 0.7540 0.4935
12 Er 0.8720 0.6207 0.0000



Here is a relaxed SiMo2IrBr crystal from Alexandria via LeMat-Bulk. Energies are from GGA-PBE.

E_tot: -0.20248 hartree per atom

Cell: 4.5572 4.5572 4.6429 Å, 90.00 90.00 90.00°
Fractional coordinates of all 5 atoms:
1 Si 0.0000 0.0000 0.0000
2 Mo 0.0000 0.5000 0.5000
3 Mo 0.5000 0.0000 0.5000
4 Ir 0.5000 0.5000 0.0000
5 Br 0.0000 0.0000 0.5000



Here is a relaxed PbBr crystal from Alexandria via LeMat-Bulk. Energies are from GGA-PBE.

E_tot: -0.09896 hartree per atom

Cell: 8.9276 8.9276 8.9276 Å, 90.00 90.00 90.00°
Fractional coordinates of all 12 atoms:
1 Pb 0.0000 0.2500 0.5000
2 Pb 0.0000 0.7500 0.5000
3 Pb 0.2500 0.5000 0.0000
4 Pb 0.5000 0.0000 0.2500
5 Pb 0.5000 0.0000 0.7500
6 Pb 0.7500 0.5000 0.0000
7 Br 0.0000 0.5000 0.2500
8 Br 0.0000 0.5000 0.7500
9 Br 0.2500 0.0000 0.5000
10 Br 0.5000 0.2500 0.0000
11 Br 0.5000 0.7500 0.0000
12 Br 0.7500 0.0000 0.5000



Here is a relaxed K2SrZnBr crystal from Alexandria via LeMat-Bulk. Energies are from GGA-PBE.

E_tot: -0.05362 hartree per atom

Cell: 6.3741 6.3741 6.4738 Å, 90.00 90.00 90.00°
Fractional coordinates of all 5 atoms:
1 K 0.0000 0.5000 0.0000
2 K 0.5000 0.0000 0.0000
3 Sr 0.0000 0.0000 0.5000
4 Zn 0.5000 0.5000 0.0000
5 Br 0.5000 0.5000 0.5000
Show up in your life today. Number two, go right into affirming your affirmations and your manifestation. Soon you wake up on your way to getting water in the morning. Use the restroom or whatever out loud, even if it’s not super loud and energize, the Xz just woke up. You starting to cement your consciousness towards what you want so you wake up and you just like. Once you do all that and you’re walking to get water in the bathroom or brush your teeth or whatever you do, you just go. Thank you. I’m so grateful that large sums of money come to me quickly and easily. I’m so grateful that I’m now attracting my soulmate. Whatever your specific affirmations and manifestations are, you just practice speaking the gratitude of them out loud casually as you’re walking down the stairs to get water or as you’re walking down the stairs to get your toothpaste or whatever it is you do.